• What to do:
Filter the contents below: keep the lines with the word "in".
• Given:
-- begin --
DFT (ωB97M-V/def2-TZVPD) results for a cluster of 2 separate species, C8H18FIN2 in total in a non-equilibrium geometry.

Calculated values
electronic energy: -22366.584 eV
maximum force: 0.106 hartree/bohr
gap between HOMO and LUMO: 8.873 eV
HOMO: -0.592 Eh
net charge: +2
relative energy (zero: lowest compared OMol25 entry of this formula, charge and spin): 0.0 kJ/mol

```
30
Properties=species:S:1:pos:R:3:lowdin_charge:R:1
C 0.63921 -0.11325 -1.48009 -0.056
C -1.88603 -0.18843 -1.13009 -0.080
C 0.69942 0.93950 -0.31719 -0.049
C -1.70937 0.95755 -0.03044 -0.029
C -0.71819 -0.15881 -2.12722 -0.306
C 1.10499 0.03397 2.58769 -0.051
C -0.28500 0.21711 1.76812 0.005
C 2.74567 -0.60928 2.52104 -0.075
N -0.39626 0.62702 0.56319 -0.101
N -0.88549 1.01729 -3.08976 0.245
F 3.29321 -0.09961 1.39015 -0.029
I -0.25662 -3.24279 1.24442 0.556
H 1.32279 0.03922 -2.19182 0.082
H 0.85601 -1.19642 -1.16666 0.156
H -1.74347 -1.24292 -0.67544 0.098
H -2.81804 -0.22763 -1.77753 0.150
H 1.57258 0.90947 0.18048 0.081
H 0.61054 1.97918 -0.43078 0.144
H -1.74587 1.85311 -0.51668 0.094
H -2.39412 0.89046 0.87580 0.167
H -0.83240 -0.94982 -2.93748 0.190
H 2.56578 -1.63295 2.41219 0.068
H 1.55284 1.00567 2.69964 0.098
H 0.58882 -0.22945 3.47280 0.076
H -1.18359 0.12286 2.36836 0.144
H 3.13362 -0.05301 3.44795 0.165
H -1.15185 -4.40231 1.96008 -0.259
H -0.84295 1.82326 -2.52611 0.127
H -1.83952 0.94124 -3.47868 0.196
H 0.00329 0.98979 -3.61593 0.195
```

DFT (ωB97M-V/def2-TZVPD) results for a cluster of 2 separate species, C8H18IN2O2P2 in total.

Calculated values
electronic energy: -42340.757 eV
maximum force: 0.012 hartree/bohr
gap between HOMO and LUMO: 6.313 eV
HOMO: -0.139 Eh
net charge: -1

```
33
Properties=species:S:1:pos:R:3:lowdin_charge:R:1
C -0.39022 1.31030 0.72509 -0.198
C 0.54116 1.23455 -0.48954 -0.809
I -0.22078 -0.35446 -1.76922 0.746
C 1.99811 1.09056 -0.11126 -0.497
P 3.26792 0.55470 -1.45409 0.214
P 4.68636 -0.17310 0.26138 0.397
N 4.07381 -1.07250 1.38761 -0.249
O 5.96905 -0.88932 -0.48981 -0.270
O 5.49294 1.10128 0.90347 -0.253
H -0.43808 2.34467 1.07835 0.071
H -1.40800 0.98781 0.49511 0.022
H -0.02025 0.66657 1.52498 0.075
H 0.40687 2.14485 -1.07399 0.062
H 2.07860 0.45702 0.77717 0.040
H 2.33335 2.09966 0.16731 0.072
H 3.91309 1.88513 -1.41987 -0.064
H 4.30852 0.11277 -2.42613 -0.092
H 2.73105 -0.80354 -1.41136 -0.084
H 2.38707 0.96329 -2.54408 -0.084
H 4.61290 -1.92618 1.49302 -0.062
H 5.60230 -1.35604 -1.24428 0.022
H 6.16349 1.39184 0.28021 0.034
N -3.89939 -1.43728 1.19823 0.064
C -3.93632 -1.05848 -0.07716 -0.152
C -5.11381 -0.73019 -0.73805 -0.072
C -6.30924 -0.79967 -0.04355 -0.095
C -6.28138 -1.19322 1.28496 -0.089
C -5.05384 -1.49845 1.85425 -0.166
H -2.98615 -1.00741 -0.60006 0.027
H -5.08332 -0.42418 -1.77501 0.100
H -7.24581 -0.55045 -0.52674 0.099
H -7.18858 -1.26232 1.87039 0.093
H -4.99140 -1.80819 2.89267 0.099
```

DFT (ωB97M-V/def2-TZVPD) results for the ion C8H18N2O with charge +2 in a non-equilibrium geometry.

Calculated values
electronic energy: -13597.314 eV
maximum force: 0.069 hartree/bohr
gap between HOMO and LUMO: 10.207 eV
HOMO: -0.659 Eh
net charge: +2
relative energy (zero: lowest compared OMol25 entry of this formula, charge and spin): 0.0 kJ/mol

```
29
Properties=species:S:1:pos:R:3:lowdin_charge:R:1
C 1.34050 0.06022 0.16692 -0.217
C -0.23653 1.65735 0.50391 0.002
C -0.84982 0.22859 0.74802 -0.171
C -3.26788 0.45794 0.28373 -0.035
C -1.64902 0.08098 -1.69180 0.001
C 0.38370 -2.02677 0.88298 0.044
C 2.68314 -0.52124 -0.27333 -0.008
C -1.98643 -0.21815 -0.19419 -0.331
N 0.32835 -0.61497 0.56356 -0.005
N 3.63263 0.61034 -0.33996 0.204
O 1.12744 1.37947 0.14097 0.064
H -0.77496 2.13150 -0.33155 0.147
H -0.29999 2.21690 1.41240 0.144
H -1.21403 0.23438 1.73536 0.150
H -3.73461 0.95110 -0.56546 0.089
H -3.13431 1.19163 1.04488 0.074
H -4.01504 -0.18151 0.78605 0.110
H -1.09968 0.96282 -1.70177 0.038
H -2.62356 0.37843 -2.08091 0.099
H -1.10806 -0.75957 -2.07865 0.083
H 1.40004 -2.18471 1.40717 0.129
-- stop --
• Written answer:
DFT (ωB97M-V/def2-TZVPD) results for a cluster of 2 separate species, C8H18FIN2 in total in a non-equilibrium geometry.
DFT (ωB97M-V/def2-TZVPD) results for a cluster of 2 separate species, C8H18IN2O2P2 in total.
DFT (ωB97M-V/def2-TZVPD) results for the ion C8H18N2O with charge +2 in a non-equilibrium geometry.